July 28th, 2009 by Frank LaBanca, Ed.D.
_Here the text breaks off for records of molecules_
********
(1)
Formula: C15H31NO3P2Sn
Source: the OMol25 dataset
Level of theory: ωB97M-V with the def2-TZVPD basis set

The total charge is 0. The total energy comes out at -1767.39178 a.u. The calculation puts the HOMO-LUMO gap at 6.5 eV. The energy relative to the best compared isomer or geometry (same formula, charge and spin) comes out at 0.0 kcal/mol. The HOMO energy is -6.21 eV. The LUMO energy comes out at 0.26 eV.

Atoms and positions in Å:
P  0.158  -1.589  1.644
P  -0.054  1.577  1.911
C  -0.129  -0.602  0.127
C  0.345  0.848  0.277
H  -1.201  -0.663  -0.114
H  0.397  -1.116  -0.691
H  1.434  0.907  0.138
H  -0.132  1.465  -0.500
C  -1.671  2.326  1.514
H  -1.967  3.011  2.319
H  -2.451  1.566  1.395
H  -1.542  2.884  0.572
C  0.976  3.070  1.945
H  0.818  3.612  0.996
H  2.036  2.801  2.056
H  0.679  3.700  2.797
C  -0.884  -3.064  1.452
H  -0.655  -3.804  2.237
H  -0.651  -3.483  0.462
H  -1.953  -2.803  1.505
C  1.817  -2.245  1.318
H  2.569  -1.446  1.309
H  1.758  -2.711  0.325
H  2.093  -2.995  2.072
Sn  -0.425  -0.104  4.007
C  0.550  1.723  -3.439
C  -0.772  1.773  -3.215
C  -1.821  1.008  -3.974
C  -1.402  -0.369  -4.543
C  -0.727  -1.300  -3.570
C  0.581  -1.361  -3.301
C  1.658  -0.550  -3.967
C  1.254  0.864  -4.453
C  0.108  -2.025  4.952
H  1.222  2.401  -2.900
H  -1.174  2.490  -2.491
H  -2.195  1.613  -4.822
H  -2.688  0.868  -3.304
H  -2.334  -0.869  -4.851
H  -0.812  -0.231  -5.456
H  -1.418  -2.020  -3.111
H  0.958  -2.124  -2.607
H  2.061  -1.094  -4.843
H  2.503  -0.456  -3.263
H  2.194  1.385  -4.696
H  0.692  0.790  -5.391
H  0.940  -1.939  5.650
H  0.282  -2.876  4.286
H  -0.816  -2.174  5.538
O  0.896  0.863  7.513
N  -0.063  0.807  6.768
O  -1.149  0.247  6.951
O  0.106  1.416  5.465

Atom-resolved charges from natural (NBO), all expressed in e: P 0.898; P 0.925; C -0.730; C -0.728; H 0.238; H 0.239; H 0.234; H 0.239; C -0.947; H 0.253; H 0.251; H 0.222; C -0.957; H 0.219; H 0.244; H 0.256; C -0.952; H 0.251; H 0.221; H 0.252; C -0.958; H 0.242; H 0.214; H 0.248; Sn 0.845; C -0.192; C -0.182; C -0.439; C -0.445; C -0.191; C -0.182; C -0.439; C -0.446; C -1.113; H 0.202; H 0.200; H 0.223; H 0.209; H 0.218; H 0.208; H 0.203; H 0.198; H 0.223; H 0.208; H 0.218; H 0.208; H 0.221; H 0.203; H 0.236; O -0.363; N 0.701; O -0.403; O -0.704

---

(2)
Formula: C15H31NO3P2Tc
Source: the OMol25 dataset
Level of theory: ωB97M-V with the def2-TZVPD basis set

The spin multiplicity is 4. The total charge is +2. The total energy comes out at -1633.20298 a.u. The calculation puts the HOMO-LUMO gap (spin up / spin down) at 4.0 / 4.2 eV. The energy relative to the best compared isomer or geometry (same formula, charge and spin) comes out at 0.0 kcal/mol. The HOMO energy (spin up / spin down) is -13.32 / -13.32 eV. The LUMO energy (spin up / spin down) comes out at -9.35 / -9.14 eV.

Atoms and positions in Å:
P  0.199  -1.525  1.809
P  -0.093  1.659  1.871
C  -0.176  -0.599  0.211
C  0.373  0.820  0.267
H  -1.271  -0.607  0.103
********
_Here the text continues_
from: www.bath.ac.uk
My good friend and colleague, Krista Ritchie, recently defended her dissertation at McGill University. I was able to attend via distance using Skype. During her defense, I had the opportunty to hear about her research on problem finding. She conducted her study longitudinally, observing students over the course of a year from various Connecticut high school science sites. Each site she studied had students in a “traditional” course (e.g., biology, chemistry, physics) and an applied science research course. Both the traditional and research courses were taught by the same teacher at each site.
As she was presenting her data, one thing stood out to me as a practitioner. She discussed the negative responses often associated with problem finding: anxiety, nervousness, fear. These responses, she discussed, were often not found in the traditional science education classes, yet were prevalent in the applied research class. This immediately got me thinking.
[Someone pasted records of molecules at this point]
____________
9
Properties=species:S:1:pos:R:3:mulliken_charge:R:1 method="wB97M-V/def2-TZVPD" gap_ev=10.2 total_charge=0 smiles="C#C[C@H]1N=C1O"
C -1.0130 -1.4578 -1.5693 0.38
C -0.7044 -0.4666 -0.9587 -0.57
C -0.2907 0.7166 -0.2335 -0.32
N -0.5956 0.7920 1.2987 -0.50
C 0.5755 0.6087 0.8975 0.36
O 1.8204 0.3730 1.2598 -0.44
H -1.2917 -2.3382 -2.1054 0.39
H -0.3479 1.6558 -0.7792 0.33
H 1.8474 0.1165 2.1901 0.37

=====

110
Properties=species:S:1:pos:R:3:mulliken_charge:R:1 method="wB97M-V/def2-TZVPD" gap_ev=7.2 total_charge=0
Li 1.2372 -1.1933 -0.7565 0.80
C -2.2068 -3.7437 0.7277 -0.97
C -2.2869 -4.6517 -0.3110 -0.92
C -1.2717 -4.6800 -1.2538 -1.01
C -0.2167 -3.7884 -1.1240 0.68
N -0.1526 -2.8872 -0.1394 0.99
C -1.1219 -2.8790 0.7694 -0.64
C 0.9190 -3.7707 -2.0904 0.69
C 1.2285 -4.8516 -2.9087 -1.23
C 2.2960 -4.7304 -3.7804 -1.11
C 3.0202 -3.5509 -3.8158 -0.99
C 2.6575 -2.5223 -2.9542 0.57
N 1.6352 -2.6504 -2.1109 0.92
C 3.3712 -1.2098 -2.8987 0.59
C 4.4187 -0.8881 -3.7541 -1.35
C 5.0052 0.3622 -3.6493 -0.54
C 4.5274 1.2531 -2.7036 -1.01
C 3.4823 0.8435 -1.8898 -0.19
N 2.9268 -0.3565 -1.9753 0.64
H -2.9713 -3.6859 1.4903 0.56
H -3.1288 -5.3264 -0.3954 0.46
H -1.3180 -5.3653 -2.0881 0.45
H -1.0214 -2.1382 1.5549 0.61
H 0.6594 -5.7681 -2.8559 0.43
H 2.5652 -5.5524 -4.4305 0.43
H 3.8512 -3.4469 -4.4972 0.41
H 4.7726 -1.5889 -4.4959 0.41
H 5.8208 0.6370 -4.3055 0.43
H 4.9478 2.2433 -2.5970 0.42
H 3.0653 1.5027 -1.1357 0.41
Se -4.9137 0.0514 -1.7069 -0.43
P -3.6296 1.7210 -1.5941 0.63
C -3.9722 2.8247 -0.1939 0.50
C -5.0268 2.5559 0.6691 -0.71
C -5.2982 3.4203 1.7199 -0.60
C -4.5188 4.5518 1.9129 -0.86
C -3.4726 4.8324 1.0429 -0.76
C -3.2114 3.9760 -0.0139 -0.20
C -3.7954 2.8146 -3.0446 0.67
C -4.5078 4.0066 -2.9510 -0.14
C -4.7229 4.7870 -4.0784 -0.76
C -4.2318 4.3807 -5.3088 -0.42
C -3.5360 3.1830 -5.4106 -0.75
C -3.3238 2.3967 -4.2905 -0.54
C -1.8895 1.2242 -1.4847 0.46
C -0.9251 1.0174 -0.4921 -1.10
N 0.0865 0.3463 -1.0738 0.68
N -0.2101 0.1809 -2.3550 -0.70
N -1.3868 0.6950 -2.6217 -0.51
P -0.6978 1.4268 1.2351 0.81
Se 0.7931 0.2864 2.2180 -0.28
C -0.1798 3.1688 1.2721 0.62
C 0.1274 3.8305 0.0881 -0.35
C 0.6258 5.1266 0.1192 -0.68
C 0.8192 5.7685 1.3321 -0.58
C 0.5430 5.1010 2.5191 -0.98
C 0.0664 3.8014 2.4902 -0.65
C -2.3116 1.1888 2.0202 0.62
C -3.0709 0.0945 1.6130 -0.05
C -4.2368 -0.2332 2.2879 -1.37
C -4.6473 0.5228 3.3751 -0.64
C -3.8977 1.6204 3.7778 -0.93
C -2.7334 1.9529 3.1055 -0.57
H -5.6190 1.6626 0.5109 0.32
H -6.1148 3.2013 2.3957 0.46
H -4.7300 5.2215 2.7372 0.40
H -2.8618 5.7152 1.1833 0.42
H -2.4169 4.2102 -0.7090 0.70
H -4.9096 4.3323 -1.9997 0.32
H -5.2793 5.7112 -3.9905 0.40
H -4.3965 4.9913 -6.1874 0.38
H -3.1604 2.8539 -6.3709 0.40
H -2.7870 1.4626 -4.3700 0.46
H -0.0228 3.3328 -0.8618 0.59
H 0.8627 5.6320 -0.8084 0.48
H 1.2044 6.7798 1.3559 0.42
H 0.7216 5.5862 3.4698 0.46
H -0.0733 3.2618 3.4177 0.47
H -2.7703 -0.4944 0.7558 0.93
H -4.8338 -1.0662 1.9401 0.51
H -5.5589 0.2675 3.9004 0.40
H -4.2234 2.2244 4.6151 0.47
____________
Of course, the proximate interpretation is for an applied science teacher to know that there is anxiety assocaited with the problem finding phase of research, and he or she should do whatever is in his or her power to support the students. Yet, I wonder – what is the necessity of the anxiety to push the student forward to facing and conquering the challenges associated with creative problem finding?
For more of a holistic view of the educational enterprise, I am thinking more about the place of problem finding within educational structures. While I am an advocate of problem finding, I am not so Pollyanna as to realize that creative behaviors like problem finding are often stifled and supressed in education. As much as teachers say they want their students to be creative producers – so many really don’t. I can hear the voices now . . . “Just do what I say.” Or from the students, “Just tell me what to do and I’ll do it.” There is TOO much culture of lock-step-do-as-the-teacher-says-and-don’t-push-the-creative-envelope culture prevalent in education. I don’t even claim this to be a one-way street. Teachers and students just want to do as told: solve/teach well-known questions that have well-known answers. I am often disgruntled about how few teachers and students are willing to take a risk and work with ill-defined problems. I think that’s where really powerful learning takes place. My challenge as an instructional leader is to bring more students, parents, teachers, administrators – all the constituents – to this place.
_Next to the page, the page also holds quantum chemistry results_
-- begin --
Record 1
Below is C52H63GeN6O2Pb as an isolated structure, with properties calculated with ωB97M-V/def2-TZVPD.

Geometry as XYZ:
```
125
C52H63GeN6O2Pb, DFT ωB97M-V/def2-TZVPD
Pb -0.3484 0.2633 0.5336
C 0.9894 -0.9544 4.3306
C 0.0267 -1.9857 4.9149
C -0.6024 -1.4641 6.2100
C -1.0190 -2.5843 3.9873
C -1.2882 -3.9368 4.1964
C -2.2041 -4.6260 3.4272
C -2.8793 -3.9567 2.4246
C -2.6554 -2.6073 2.1655
C -3.4950 -2.0013 1.0633
C -4.2783 -0.7444 1.4350
C -1.6416 -2.8601 -0.5299
C -1.7213 -1.9250 2.9652
N -1.4146 -0.5777 2.6509
C -1.7960 0.3922 3.3965
C -1.4221 1.7419 3.1304
C -1.6044 2.8342 3.9665
C -0.9588 3.9044 3.3517
C -0.4128 3.4271 2.1621
N -0.6889 2.1009 2.0149
C 0.4015 4.2914 1.2183
C 1.7987 4.5612 1.7883
C -0.3171 5.6458 1.0176
C 0.5143 3.7702 -0.1855
H 1.8911 -0.9322 4.9445
H 0.5681 0.0488 4.3476
H 1.2810 -1.1858 3.3045
H 0.6468 -2.8446 5.1961
H -1.1641 -0.5471 6.0353
H 0.1734 -1.2371 6.9398
H -1.2796 -2.1957 6.6487
H -0.7553 -4.4531 4.9847
H -2.3942 -5.6734 3.6099
H -3.6104 -4.4862 1.8274
H -4.2510 -2.7657 0.8687
H -3.6522 0.1393 1.5334
H -4.8071 -0.8884 2.3786
H -5.0190 -0.5517 0.6594
H -0.8712 -2.6561 0.2078
H -1.2205 -2.7657 -1.5291
H -1.9750 -3.8863 -0.3849
H -2.4102 0.2128 4.2790
H -2.1334 2.8341 4.9024
H -0.8931 4.9115 3.7200
H 1.7216 5.0193 2.7720
H 2.3444 5.2434 1.1351
H 2.3674 3.6428 1.8947
H -0.3658 6.1766 1.9646
H -1.3323 5.5070 0.6518
H 0.2319 6.2704 0.3140
H 0.9382 2.6369 -0.1145
H 1.2366 4.2930 -0.8003
H -0.4069 3.5526 -0.7147
O 2.4089 1.4468 2.7954
H 1.5276 1.6176 3.1558
H 2.7519 0.7044 3.3053
O -1.9137 1.9989 -0.8121
H -2.4271 1.1931 -1.0438
H -2.4360 2.4370 -0.1282
N -2.3310 -0.5694 -0.5608
C -2.8217 -1.8742 -0.3668
N -3.8767 -2.1474 -1.3491
C -3.9909 -1.3503 -2.5499
C -5.4246 -1.3869 -3.0701
C -5.8709 -2.8213 -3.3127
C -5.6653 -3.6584 -2.0614
C -4.2250 -3.5386 -1.5734
H -3.3159 -1.7224 -3.3429
H -3.6872 -0.3288 -2.3336
H -5.4954 -0.8033 -3.9889
H -6.0768 -0.9140 -2.3296
H -5.2722 -3.2454 -4.1267
H -6.9120 -2.8580 -3.6373
H -5.9045 -4.7052 -2.2558
H -6.3312 -3.3100 -1.2673
H -3.5530 -4.0092 -2.3120
H -4.1068 -4.0984 -0.6452
N 4.0415 -6.2633 -1.0778
C 3.5382 -5.3152 -0.6772
C 2.9107 -4.1264 -0.1743
C 1.9725 -4.2012 0.8501
C 1.3982 -3.0248 1.2944
N 1.7018 -1.8269 0.7965
C 2.6046 -1.7687 -0.1756
C 3.2391 -2.8820 -0.7017
H 1.6943 -5.1490 1.2856
H 0.6527 -3.0512 2.0812
H 2.8495 -0.7844 -0.5592
H 3.9613 -2.7794 -1.4958
C 1.5196 1.5646 -0.3792
Ge 2.5264 1.6445 -2.0979
C 1.7483 0.2997 -3.2823
C 2.4700 -0.1399 -4.3933
C 1.9313 -1.0622 -5.2765
C 0.6489 -1.5482 -5.0761
C -0.0938 -1.1034 -3.9941
C 0.4587 -0.1920 -3.1066
C 2.3639 3.3978 -2.9198
C 3.3823 4.3429 -2.8556
C 3.2126 5.5995 -3.4197
C 2.0253 5.9183 -4.0581
C 1.0094 4.9767 -4.1455
C 1.1809 3.7231 -3.5831
C 4.3448 1.1978 -1.5651
C 5.0194 0.0932 -2.0768
C 6.3000 -0.2208 -1.6446
C 6.9217 0.5681 -0.6908
C 6.2602 1.6673 -0.1645
C 4.9809 1.9752 -0.5969
H 2.1948 1.6271 0.4808
H 3.4662 0.2439 -4.5828
H 2.5076 -1.3935 -6.1300
H 0.2242 -2.2602 -5.7708
H -1.1072 -1.4541 -3.8491
-- stop --
A place where we transcend the logical and analytical processes of problem solving and challenge students to engage in creative problem finding behaviors. And I’m not anxious about saying that one bit!